== Material ==
____________
(1)
Compound: Pr3NdPu2Te6
Source: Alexandria
Functional: PBE
Structure: optimized geometry

Computed properties:
calculated total energy: -0.2532 hartree per atom
formation energy (no corrections): -1.337 eV per atom
magnetization: 11.9 μB/f.u.
Fermi-level density of states: 24.84 states/eV/f.u.

Cell lengths 4.4770, 9.0182, 10.0581 Å; angles 103.20, 102.86, 90.00 degrees
With the nearest neighbours (Å) after each atom.
Sites, in units of the cell vectors:
Pr: 0.5000 0.5000 0.0000  6 Te 3.19-3.22
Pr: 0.8352 0.1663 0.6703  6 Te 3.19-3.22
Pr: 0.1648 0.8337 0.3297  6 Te 3.19-3.22
Nd: 0.5000 0.0000 0.0000  6 Te 3.17-3.18
Pu: 0.8334 0.6665 0.6668  6 Te 3.13-3.14
Pu: 0.1666 0.3335 0.3332  6 Te 3.13-3.14
Te: 0.3331 0.9102 0.6662  2 Pu 3.14, 1 Nd 3.18, 3 Pr 3.21
Te: 0.6687 0.5790 0.3373  3 Pu 3.14, 3 Pr 3.22
Te: 0.6669 0.0898 0.3338  2 Pu 3.14, 1 Nd 3.18, 3 Pr 3.21
Te: 0.0027 0.2500 0.0053  1 Pu 3.13, 2 Nd 3.17, 3 Pr 3.19
Te: 0.9973 0.7500 0.9947  1 Pu 3.13, 2 Nd 3.17, 3 Pr 3.19
Te: 0.3313 0.4210 0.6627  3 Pu 3.14, 3 Pr 3.22


(2)
Compound: Pr2TcC2
Source: Alexandria
Functional: PBE
Structure: optimized geometry

Computed properties:
calculated total energy: -0.2896 hartree per atom
excess energy over the best structure of this formula in the dataset: 0.0 meV/atom
magnetization: 0.0 μB/f.u.
formation energy: -0.21 eV/atom
Fermi-level density of states: 2.04 states/eV/f.u.

Cell lengths 5.3979, 6.7302, 10.3328 Å; angles 90.00, 90.00, 90.00 degrees
With the nearest neighbours (Å) after each atom.
Sites, in units of the cell vectors:
Pr: 0.7500 0.6872 0.5511  5 C 2.60-2.72
Pr: 0.2500 0.8128 0.0511  5 C 2.60-2.72
Pr: 0.2500 0.3128 0.4489  5 C 2.60-2.72
Pr: 0.7500 0.1872 0.9489  5 C 2.60-2.72
Pr: 0.7500 0.0270 0.2874  3 C 2.65-2.72
Pr: 0.2500 0.4730 0.7874  3 C 2.65-2.72
Pr: 0.2500 0.9730 0.7126  3 C 2.65-2.72
Pr: 0.7500 0.5270 0.2126  3 C 2.65-2.72
Tc: 0.7500 0.2282 0.6436  3 C 1.91-2.05
Tc: 0.2500 0.2718 0.1436  3 C 1.91-2.05
Tc: 0.2500 0.7718 0.3564  3 C 1.91-2.05
Tc: 0.7500 0.7282 0.8564  3 C 1.91-2.05
C: 0.7500 0.4641 0.7572  2 Tc 1.97-2.05
C: 0.2500 0.0359 0.2572  2 Tc 1.97-2.05
C: 0.2500 0.5359 0.2428  2 Tc 1.97-2.05
C: 0.7500 0.9641 0.7428  2 Tc 1.97-2.05
C: 0.7500 0.8088 0.0334  1 Tc 1.91
C: 0.2500 0.6912 0.5334  1 Tc 1.91
C: 0.2500 0.1912 0.9666  1 Tc 1.91
C: 0.7500 0.3088 0.4666  1 Tc 1.91


(3)
Compound: Mn2CrIrN
Source: Alexandria
Functional: PBE
Structure: optimized geometry

Computed properties:
calculated total energy: -0.3395 hartree per atom
formation energy (no corrections): -0.208 eV per atom
magnetization: 0.0 μB/f.u.
Fermi-level density of states: 6.75 states/eV/f.u.

Cell lengths 3.7587, 3.7587, 3.8265 Å; angles 90.00, 90.00, 90.00 degrees
With the nearest neighbours (Å) after each atom.
Sites, in units of the cell vectors:
Cr: 0.0000 0.0000 0.5000  2 N 1.91
Ir: 0.5000 0.5000 0.5000  4 Cr 2.66, 8 Mn 2.68
Mn: 0.0000 0.5000 0.0000  2 N 1.88
Mn: 0.5000 0.0000 0.0000  2 N 1.88
N: 0.0000 0.0000 0.0000  4 Mn 1.88, 2 Cr 1.91


(4)
Compound: PrGa4Au6
Source: Alexandria
Functional: PBE
Structure: optimized geometry

Computed properties:
calculated total energy: -0.1368 hartree per atom
magnetization: 0.0 μB/f.u.
formation energy: -0.40 eV/atom
Fermi-level density of states: 2.90 states/eV/f.u.

Cell lengths 4.3181, 7.5019, 7.5019 Å; angles 120.00, 90.00, 90.00 degrees
With the nearest neighbours (Å) after each atom.
Sites, in units of the cell vectors:
Pr: 0.0000 0.3333 0.6667  6 Au 3.34, 6 Ga 3.36
Ga: 0.5000 0.5332 0.4699  6 Au 2.56-2.77
Ga: 0.5000 0.9366 0.4668  6 Au 2.56-2.77
Ga: 0.0000 0.0000 0.0000  9 Au 2.63-2.80
Ga: 0.5000 0.5301 0.0634  6 Au 2.56-2.77
Au: 0.5000 0.1363 0.8618  4 Ga 2.56-2.80
Au: 0.5000 0.1382 0.2746  4 Ga 2.56-2.80
Au: 0.0000 0.8001 0.5950  5 Ga 2.63-2.77, 2 Au 2.94
Au: 0.0000 0.4050 0.2051  5 Ga 2.63-2.77, 2 Au 2.94
Au: 0.0000 0.7949 0.1999  5 Ga 2.63-2.77, 2 Au 2.94
Au: 0.5000 0.7254 0.8637  4 Ga 2.56-2.80


(5)
Compound: Ba4AlHg
Source: Alexandria
Functional: PBE
Structure: optimized geometry
____________
== Brief ==
Type out the whole of the listing earlier on word for word, please.
== Reply ==
(1)
Compound: Pr3NdPu2Te6
Source: Alexandria
Functional: PBE
Structure: optimized geometry

Computed properties:
calculated total energy: -0.2532 hartree per atom
formation energy (no corrections): -1.337 eV per atom
magnetization: 11.9 μB/f.u.
Fermi-level density of states: 24.84 states/eV/f.u.

Cell lengths 4.4770, 9.0182, 10.0581 Å; angles 103.20, 102.86, 90.00 degrees
With the nearest neighbours (Å) after each atom.
Sites, in units of the cell vectors:
Pr: 0.5000 0.5000 0.0000  6 Te 3.19-3.22
Pr: 0.8352 0.1663 0.6703  6 Te 3.19-3.22
Pr: 0.1648 0.8337 0.3297  6 Te 3.19-3.22
Nd: 0.5000 0.0000 0.0000  6 Te 3.17-3.18
Pu: 0.8334 0.6665 0.6668  6 Te 3.13-3.14
Pu: 0.1666 0.3335 0.3332  6 Te 3.13-3.14
Te: 0.3331 0.9102 0.6662  2 Pu 3.14, 1 Nd 3.18, 3 Pr 3.21
Te: 0.6687 0.5790 0.3373  3 Pu 3.14, 3 Pr 3.22
Te: 0.6669 0.0898 0.3338  2 Pu 3.14, 1 Nd 3.18, 3 Pr 3.21
Te: 0.0027 0.2500 0.0053  1 Pu 3.13, 2 Nd 3.17, 3 Pr 3.19
Te: 0.9973 0.7500 0.9947  1 Pu 3.13, 2 Nd 3.17, 3 Pr 3.19
Te: 0.3313 0.4210 0.6627  3 Pu 3.14, 3 Pr 3.22


(2)
Compound: Pr2TcC2
Source: Alexandria
Functional: PBE
Structure: optimized geometry

Computed properties:
calculated total energy: -0.2896 hartree per atom
excess energy over the best structure of this formula in the dataset: 0.0 meV/atom
magnetization: 0.0 μB/f.u.
formation energy: -0.21 eV/atom
Fermi-level density of states: 2.04 states/eV/f.u.

Cell lengths 5.3979, 6.7302, 10.3328 Å; angles 90.00, 90.00, 90.00 degrees
With the nearest neighbours (Å) after each atom.
Sites, in units of the cell vectors:
Pr: 0.7500 0.6872 0.5511  5 C 2.60-2.72
Pr: 0.2500 0.8128 0.0511  5 C 2.60-2.72
Pr: 0.2500 0.3128 0.4489  5 C 2.60-2.72
Pr: 0.7500 0.1872 0.9489  5 C 2.60-2.72
Pr: 0.7500 0.0270 0.2874  3 C 2.65-2.72
Pr: 0.2500 0.4730 0.7874  3 C 2.65-2.72
Pr: 0.2500 0.9730 0.7126  3 C 2.65-2.72
Pr: 0.7500 0.5270 0.2126  3 C 2.65-2.72
Tc: 0.7500 0.2282 0.6436  3 C 1.91-2.05
Tc: 0.2500 0.2718 0.1436  3 C 1.91-2.05
Tc: 0.2500 0.7718 0.3564  3 C 1.91-2.05
Tc: 0.7500 0.7282 0.8564  3 C 1.91-2.05
C: 0.7500 0.4641 0.7572  2 Tc 1.97-2.05
C: 0.2500 0.0359 0.2572  2 Tc 1.97-2.05
C: 0.2500 0.5359 0.2428  2 Tc 1.97-2.05
C: 0.7500 0.9641 0.7428  2 Tc 1.97-2.05
C: 0.7500 0.8088 0.0334  1 Tc 1.91
C: 0.2500 0.6912 0.5334  1 Tc 1.91
C: 0.2500 0.1912 0.9666  1 Tc 1.91
C: 0.7500 0.3088 0.4666  1 Tc 1.91


(3)
Compound: Mn2CrIrN
Source: Alexandria
Functional: PBE
Structure: optimized geometry

Computed properties:
calculated total energy: -0.3395 hartree per atom
formation energy (no corrections): -0.208 eV per atom
magnetization: 0.0 μB/f.u.
Fermi-level density of states: 6.75 states/eV/f.u.

Cell lengths 3.7587, 3.7587, 3.8265 Å; angles 90.00, 90.00, 90.00 degrees
With the nearest neighbours (Å) after each atom.
Sites, in units of the cell vectors:
Cr: 0.0000 0.0000 0.5000  2 N 1.91
Ir: 0.5000 0.5000 0.5000  4 Cr 2.66, 8 Mn 2.68
Mn: 0.0000 0.5000 0.0000  2 N 1.88
Mn: 0.5000 0.0000 0.0000  2 N 1.88
N: 0.0000 0.0000 0.0000  4 Mn 1.88, 2 Cr 1.91


(4)
Compound: PrGa4Au6
Source: Alexandria
Functional: PBE
Structure: optimized geometry

Computed properties:
calculated total energy: -0.1368 hartree per atom
magnetization: 0.0 μB/f.u.
formation energy: -0.40 eV/atom
Fermi-level density of states: 2.90 states/eV/f.u.

Cell lengths 4.3181, 7.5019, 7.5019 Å; angles 120.00, 90.00, 90.00 degrees
With the nearest neighbours (Å) after each atom.
Sites, in units of the cell vectors:
Pr: 0.0000 0.3333 0.6667  6 Au 3.34, 6 Ga 3.36
Ga: 0.5000 0.5332 0.4699  6 Au 2.56-2.77
Ga: 0.5000 0.9366 0.4668  6 Au 2.56-2.77
Ga: 0.0000 0.0000 0.0000  9 Au 2.63-2.80
Ga: 0.5000 0.5301 0.0634  6 Au 2.56-2.77
Au: 0.5000 0.1363 0.8618  4 Ga 2.56-2.80
Au: 0.5000 0.1382 0.2746  4 Ga 2.56-2.80
Au: 0.0000 0.8001 0.5950  5 Ga 2.63-2.77, 2 Au 2.94
Au: 0.0000 0.4050 0.2051  5 Ga 2.63-2.77, 2 Au 2.94
Au: 0.0000 0.7949 0.1999  5 Ga 2.63-2.77, 2 Au 2.94
Au: 0.5000 0.7254 0.8637  4 Ga 2.56-2.80


(5)
Compound: Ba4AlHg
Source: Alexandria
Functional: PBE
Structure: optimized geometry